**Entries**
- - -
Below is a cluster of 2 separate species, CH5ClNO2P in total at a distorted geometry, with properties calculated with ωB97M-V with the def2-TZVPD basis set.

spin multiplicity = 3
energy above the lowest of the compared OMol25 structures with the same formula, charge and spin = 0.0 kJ/mol
⟨S²⟩ = 2.01

Structure (XYZ):
```
11
Properties=species:S:1:pos:R:3:forces:R:3
C -1.62391 0.09472 -0.12919 1.9 -2.7 -0.2
N 1.52153 -0.62085 0.79643 -1.4 3.1 1.1
O 1.59019 1.95303 1.03720 2.4 4.0 3.0
O -0.70750 0.89524 0.55582 0.2 0.5 1.0
P 0.88404 0.93161 0.39374 -2.0 -4.8 -3.7
Cl 0.06000 -0.86774 -2.78734 0.0 0.0 0.0
H -1.14131 -0.48542 -0.98178 -0.1 0.8 0.2
H -2.34007 0.73281 -0.55673 -1.4 0.3 -0.2
H -1.89291 -0.79599 0.49660 -0.6 1.2 -0.2
H 1.15649 -1.40442 0.34951 -0.1 -1.5 -1.0
H 2.49345 -0.43299 0.82573 1.2 -0.8 -0.1
```
Forces are in eV/Å.

***

Below is a structure of composition C16H30KO8S2, with properties calculated with ωB97M-V with the def2-TZVPD basis set.

total energy = -2625.75370 Eh
total charge = +1

Structure (XYZ):
```
57
Properties=species:S:1:pos:R:3:forces:R:3
K -21.83161 -15.09809 -29.78706 0.3 -0.1 -0.4
C -21.24983 -18.54043 -33.37259 0.0 0.1 -0.4
S -20.99980 -18.61601 -31.61044 0.2 -0.1 0.0
O -21.06575 -17.20871 -31.11305 0.0 0.2 0.2
C -22.55510 -19.37633 -31.22248 -0.3 -0.5 0.0
H -21.11094 -19.53447 -33.79739 0.1 0.0 0.0
H -20.48618 -17.86617 -33.75836 0.0 -0.1 0.0
H -22.23514 -18.16035 -33.64324 0.0 0.1 0.2
H -22.63729 -20.30445 -31.79381 0.0 0.0 0.0
H -23.37120 -18.70657 -31.48515 0.0 0.1 0.0
H -22.57200 -19.62939 -30.16408 0.0 0.1 0.0
C -19.07836 -12.93406 -33.70060 0.3 0.0 -0.1
S -18.84066 -13.54460 -32.03407 0.2 -0.1 0.0
O -20.14293 -13.39417 -31.32481 -0.5 0.0 0.2
C -18.66270 -15.26978 -32.45548 -0.2 -0.1 -0.3
H -18.30448 -13.34828 -34.34778 0.1 0.0 0.1
H -18.95434 -11.85480 -33.65993 -0.2 0.0 -0.1
H -20.05601 -13.22498 -34.07995 -0.1 0.0 0.2
H -17.77549 -15.35085 -33.08398 0.1 -0.2 0.1
H -19.54426 -15.60203 -33.00653 0.0 0.1 0.0
H -18.58662 -15.84801 -31.53883 0.1 0.0 0.1
O -24.12134 -16.16663 -31.16138 0.1 0.1 0.2
C -25.10907 -16.08695 -31.84650 -0.1 0.0 0.0
O -25.20511 -16.76042 -32.99678 -0.1 0.0 0.0
C -26.45364 -16.49201 -33.67539 -0.2 0.0 -0.1
C -27.16042 -15.36869 -32.89837 0.1 -0.1 0.1
C -26.36021 -15.27570 -31.59078 0.0 0.0 -0.4
H -27.04081 -17.40856 -33.68528 0.1 -0.1 0.1
H -26.20866 -16.22932 -34.70050 0.0 0.0 0.0
H -28.20148 -15.62508 -32.72252 0.0 0.0 0.0
H -27.14850 -14.42467 -33.43765 0.1 0.0 -0.1
H -26.89888 -15.70722 -30.74949 0.1 0.0 0.1
H -26.06574 -14.25775 -31.34980 -0.1 0.0 0.2
O -19.05256 -15.30779 -28.97578 -0.2 0.1 0.0
C -18.16818 -14.83663 -28.30769 0.1 0.0 0.4
O -17.67645 -15.48867 -27.23998 -0.1 0.0 -0.1
C -16.63707 -14.71507 -26.60648 0.4 0.0 0.1
C -16.18890 -13.70462 -27.66089 0.1 -0.1 0.3
C -17.45923 -13.50428 -28.45859 -0.2 -0.3 -0.5
H -15.84048 -15.39644 -26.31915 -0.1 -0.1 0.0
H -17.03069 -14.24024 -25.70730 -0.2 0.0 -0.1
H -15.41407 -14.15552 -28.28001 0.0 0.1 -0.1
H -15.78779 -12.80033 -27.21113 0.0 0.0 0.0
H -17.30854 -13.31396 -29.51906 0.0 0.2 0.0
H -18.11897 -12.73404 -28.05638 0.0 0.1 0.0
O -19.80244 -20.86592 -26.26441 0.0 -0.1 0.0
C -20.15184 -19.74169 -26.44432 0.2 0.0 -0.1
O -20.14804 -18.81018 -25.45905 -0.1 -0.3 0.0
C -20.78863 -17.60691 -25.85480 0.1 0.5 -0.2
C -21.14722 -17.73998 -27.35258 -0.5 0.2 0.1
C -20.60936 -19.10927 -27.74258 -0.1 0.1 -0.4
H -20.09445 -16.78888 -25.66069 0.0 0.0 -0.1
H -21.67044 -17.45683 -25.23298 0.0 -0.1 0.0
H -20.73723 -16.92901 -27.94884 0.4 -0.1 0.1
H -22.23351 -17.69231 -27.48172 0.1 -0.1 0.1
H -19.76979 -19.05791 -28.43803 0.1 0.0 0.2
H -21.34253 -19.74604 -28.23638 0.0 -0.1 0.2
```
Forces are in eV/Å.

***

Below is the molecule C16H22N2O2S2 at a distorted geometry, with properties calculated with ωB97M-V with the def2-TZVPD basis set.

energy above the lowest of the compared OMol25 structures with the same formula, charge and spin = 123.5 kJ/mol
SMILES string = CCCN(CCC)S(=O)(=O)c1cccc(-c2csc(C)n2)c1

Structure (XYZ):
```
44
- - -
**Job**
Now quote the whole of the contents earlier on verbatim.
**Solution**
Below is a cluster of 2 separate species, CH5ClNO2P in total at a distorted geometry, with properties calculated with ωB97M-V with the def2-TZVPD basis set.

spin multiplicity = 3
energy above the lowest of the compared OMol25 structures with the same formula, charge and spin = 0.0 kJ/mol
⟨S²⟩ = 2.01

Structure (XYZ):
```
11
Properties=species:S:1:pos:R:3:forces:R:3
C -1.62391 0.09472 -0.12919 1.9 -2.7 -0.2
N 1.52153 -0.62085 0.79643 -1.4 3.1 1.1
O 1.59019 1.95303 1.03720 2.4 4.0 3.0
O -0.70750 0.89524 0.55582 0.2 0.5 1.0
P 0.88404 0.93161 0.39374 -2.0 -4.8 -3.7
Cl 0.06000 -0.86774 -2.78734 0.0 0.0 0.0
H -1.14131 -0.48542 -0.98178 -0.1 0.8 0.2
H -2.34007 0.73281 -0.55673 -1.4 0.3 -0.2
H -1.89291 -0.79599 0.49660 -0.6 1.2 -0.2
H 1.15649 -1.40442 0.34951 -0.1 -1.5 -1.0
H 2.49345 -0.43299 0.82573 1.2 -0.8 -0.1
```
Forces are in eV/Å.

***

Below is a structure of composition C16H30KO8S2, with properties calculated with ωB97M-V with the def2-TZVPD basis set.

total energy = -2625.75370 Eh
total charge = +1

Structure (XYZ):
```
57
Properties=species:S:1:pos:R:3:forces:R:3
K -21.83161 -15.09809 -29.78706 0.3 -0.1 -0.4
C -21.24983 -18.54043 -33.37259 0.0 0.1 -0.4
S -20.99980 -18.61601 -31.61044 0.2 -0.1 0.0
O -21.06575 -17.20871 -31.11305 0.0 0.2 0.2
C -22.55510 -19.37633 -31.22248 -0.3 -0.5 0.0
H -21.11094 -19.53447 -33.79739 0.1 0.0 0.0
H -20.48618 -17.86617 -33.75836 0.0 -0.1 0.0
H -22.23514 -18.16035 -33.64324 0.0 0.1 0.2
H -22.63729 -20.30445 -31.79381 0.0 0.0 0.0
H -23.37120 -18.70657 -31.48515 0.0 0.1 0.0
H -22.57200 -19.62939 -30.16408 0.0 0.1 0.0
C -19.07836 -12.93406 -33.70060 0.3 0.0 -0.1
S -18.84066 -13.54460 -32.03407 0.2 -0.1 0.0
O -20.14293 -13.39417 -31.32481 -0.5 0.0 0.2
C -18.66270 -15.26978 -32.45548 -0.2 -0.1 -0.3
H -18.30448 -13.34828 -34.34778 0.1 0.0 0.1
H -18.95434 -11.85480 -33.65993 -0.2 0.0 -0.1
H -20.05601 -13.22498 -34.07995 -0.1 0.0 0.2
H -17.77549 -15.35085 -33.08398 0.1 -0.2 0.1
H -19.54426 -15.60203 -33.00653 0.0 0.1 0.0
H -18.58662 -15.84801 -31.53883 0.1 0.0 0.1
O -24.12134 -16.16663 -31.16138 0.1 0.1 0.2
C -25.10907 -16.08695 -31.84650 -0.1 0.0 0.0
O -25.20511 -16.76042 -32.99678 -0.1 0.0 0.0
C -26.45364 -16.49201 -33.67539 -0.2 0.0 -0.1
C -27.16042 -15.36869 -32.89837 0.1 -0.1 0.1
C -26.36021 -15.27570 -31.59078 0.0 0.0 -0.4
H -27.04081 -17.40856 -33.68528 0.1 -0.1 0.1
H -26.20866 -16.22932 -34.70050 0.0 0.0 0.0
H -28.20148 -15.62508 -32.72252 0.0 0.0 0.0
H -27.14850 -14.42467 -33.43765 0.1 0.0 -0.1
H -26.89888 -15.70722 -30.74949 0.1 0.0 0.1
H -26.06574 -14.25775 -31.34980 -0.1 0.0 0.2
O -19.05256 -15.30779 -28.97578 -0.2 0.1 0.0
C -18.16818 -14.83663 -28.30769 0.1 0.0 0.4
O -17.67645 -15.48867 -27.23998 -0.1 0.0 -0.1
C -16.63707 -14.71507 -26.60648 0.4 0.0 0.1
C -16.18890 -13.70462 -27.66089 0.1 -0.1 0.3
C -17.45923 -13.50428 -28.45859 -0.2 -0.3 -0.5
H -15.84048 -15.39644 -26.31915 -0.1 -0.1 0.0
H -17.03069 -14.24024 -25.70730 -0.2 0.0 -0.1
H -15.41407 -14.15552 -28.28001 0.0 0.1 -0.1
H -15.78779 -12.80033 -27.21113 0.0 0.0 0.0
H -17.30854 -13.31396 -29.51906 0.0 0.2 0.0
H -18.11897 -12.73404 -28.05638 0.0 0.1 0.0
O -19.80244 -20.86592 -26.26441 0.0 -0.1 0.0
C -20.15184 -19.74169 -26.44432 0.2 0.0 -0.1
O -20.14804 -18.81018 -25.45905 -0.1 -0.3 0.0
C -20.78863 -17.60691 -25.85480 0.1 0.5 -0.2
C -21.14722 -17.73998 -27.35258 -0.5 0.2 0.1
C -20.60936 -19.10927 -27.74258 -0.1 0.1 -0.4
H -20.09445 -16.78888 -25.66069 0.0 0.0 -0.1
H -21.67044 -17.45683 -25.23298 0.0 -0.1 0.0
H -20.73723 -16.92901 -27.94884 0.4 -0.1 0.1
H -22.23351 -17.69231 -27.48172 0.1 -0.1 0.1
H -19.76979 -19.05791 -28.43803 0.1 0.0 0.2
H -21.34253 -19.74604 -28.23638 0.0 -0.1 0.2
```
Forces are in eV/Å.

***

Below is the molecule C16H22N2O2S2 at a distorted geometry, with properties calculated with ωB97M-V with the def2-TZVPD basis set.

energy above the lowest of the compared OMol25 structures with the same formula, charge and spin = 123.5 kJ/mol
SMILES string = CCCN(CCC)S(=O)(=O)c1cccc(-c2csc(C)n2)c1

Structure (XYZ):
```
44